# To do
It remains to restate the lines below from the one with "charge:R:1" to the one with "-1.559 0.00" unchanged.

# Input
# 1
Computed, not measured: a molecular structure, C24H19IrN6OSTe, with ωB97M-V/def2-TZVPD.

```
53
Properties=species:S:1:pos:R:3:mulliken_charge:R:1
Ir -0.140 0.244 0.045 0.34
Te -2.453 1.428 -0.116 -0.01
S -4.628 -1.010 -0.805 -0.13
O 2.307 0.613 -0.852 -0.42
N 0.139 0.359 -2.088 0.48
N 1.831 -0.275 3.086 -0.77
N 5.399 -1.200 2.173 -0.63
N 4.513 0.148 -0.929 -0.47
N -0.016 -1.951 -2.184 -0.25
N -0.937 -0.905 1.621 0.34
C -3.209 -0.150 -2.725 -0.28
C 2.186 0.215 1.850 0.04
C 1.265 0.897 4.049 -0.67
C 0.452 0.385 2.932 0.74
C 0.677 -0.731 -4.138 -0.99
C -2.938 -1.952 2.381 -0.85
C 1.082 2.438 1.660 -1.17
C -4.045 -1.161 -3.274 -0.61
C 0.924 0.482 -4.726 -0.38
C 0.280 -0.773 -2.792 0.85
C 0.384 1.544 -2.680 -0.27
C -1.625 -0.664 3.903 -0.79
C -2.010 -1.669 1.400 -0.15
C 1.708 2.254 4.017 -1.09
C 0.775 1.657 -3.988 -0.96
C 3.338 -0.039 1.152 0.23
C -2.752 -1.428 3.651 -0.48
C 3.347 0.276 -0.255 0.85
C 0.889 0.983 1.612 1.50
C 4.455 -0.696 1.744 -0.46
C -0.736 -0.430 2.871 -0.25
C 1.540 2.988 2.850 -0.18
C -4.871 -1.715 -2.343 -0.45
C -3.395 0.039 -1.383 -0.01
H -3.477 -1.607 4.434 0.45
H 1.093 0.465 5.026 0.55
H -2.497 0.422 -3.307 0.49
H -2.123 -2.064 0.399 0.60
H 1.239 0.522 -5.761 0.44
H -5.621 -2.478 -2.480 0.42
H 5.376 -0.010 -0.436 0.19
H -3.786 -2.577 2.145 0.43
H 0.249 -2.813 -2.623 0.24
H 1.778 4.046 2.871 0.41
H 2.094 2.699 4.921 0.38
H -4.038 -1.456 -4.314 0.39
H -0.127 -1.941 -1.179 0.01
H 0.977 3.031 0.760 0.36
H 0.967 2.628 -4.418 0.48
H 0.256 2.413 -2.051 0.37
H 0.792 -1.656 -4.687 0.41
H 4.535 0.417 -1.896 0.25
H -1.425 -0.241 4.877 0.49
```

Results
Kohn-Sham gap (alpha / beta) = 4.85 / 4.85 eV
Energy above the lowest of the compared OMol25 structures with the same formula, charge and spin = 591.1 kJ/mol
E = -57147.43907 eV

# 2
Computed, not measured: a molecular structure, C24H19N2O7S8Ti, with ωB97M-V/def2-TZVPD.

```
61
Properties=species:S:1:pos:R:3:mulliken_spin:R:1
Ti 0.291 -0.181 -0.125 0.95
S -0.596 -3.895 -1.862 0.00
S -0.235 2.209 4.568 0.00
S 1.553 3.815 2.945 0.00
S -0.126 -0.164 2.696 0.01
S 0.971 -3.358 2.973 0.00
S 0.812 -0.385 -2.764 0.01
S 1.947 1.688 0.846 0.00
S 2.897 -4.368 -1.846 0.00
O 1.453 -1.558 -3.320 0.00
O -0.448 -0.778 -1.972 0.00
O 1.615 0.183 -1.584 -0.01
O 0.488 4.671 5.206 0.00
O -1.099 1.332 -0.164 0.01
O 0.497 0.648 -3.731 0.00
O 0.776 -1.927 0.355 0.00
N -3.323 1.264 -0.593 0.00
N -2.422 -1.240 0.248 0.01
C -2.253 1.525 0.225 0.00
C 0.210 -4.146 -0.367 0.01
C 3.391 -2.111 -0.775 0.00
C 2.838 -5.084 3.073 0.00
C -3.164 -1.184 -0.853 0.00
C -3.200 0.167 -1.559 0.00
C 4.450 -2.363 -1.691 0.00
C -3.164 -3.466 0.631 0.00
C 2.473 -3.112 -0.754 0.00
C -3.902 -3.427 -0.536 0.00
C 1.743 -3.763 1.506 0.00
C -1.175 -6.012 -0.568 0.00
C -3.927 -2.258 -1.288 0.00
C -1.468 -5.342 -1.723 0.00
C -2.436 -2.334 0.992 0.00
C -0.209 -5.317 0.208 0.00
C 1.211 2.197 2.344 0.01
C 4.318 -3.557 -2.332 0.00
C -2.536 2.118 1.567 0.00
C 0.586 3.757 4.409 0.00
C 1.924 -4.447 3.865 0.00
C 0.373 1.456 3.099 0.00
C 1.264 -3.181 0.174 -0.01
C 2.729 -4.687 1.713 0.00
H -4.457 -4.298 -0.865 0.00
H -2.165 -5.625 -2.495 0.00
H 4.959 -3.982 -3.087 0.00
H -1.869 2.962 1.737 0.00
H -1.838 -2.303 1.899 0.00
H -3.577 2.421 1.685 0.00
H -3.119 -4.352 1.249 0.00
H 1.794 -4.537 4.931 0.00
H 5.260 -1.672 -1.874 0.00
H 3.288 -1.212 -0.181 0.01
H 0.176 -5.675 1.152 0.00
H -1.625 -6.952 -0.279 0.00
H -4.508 -2.178 -2.198 0.00
H 3.351 -5.064 0.915 0.00
H -2.273 0.304 -2.115 0.00
H -4.044 0.206 -2.248 0.00
H 3.565 -5.794 3.442 0.00
H -2.263 1.344 2.294 0.00
H -4.194 1.249 -0.080 0.00
```

Results
Kohn-Sham gap (alpha / beta) = 4.87 / 4.92 eV
Energy above the lowest of the compared OMol25 structures with the same formula, charge and spin = 146.1 kJ/mol
⟨S²⟩ = 0.753
E = -152313.32614 eV
Total charge = -2
Spin multiplicity = 2

# 3
Computed, not measured: a molecular structure, C24H19N6O3SW, with ωB97M-V/def2-TZVPD.

```
54
Properties=species:S:1:pos:R:3:mulliken_spin:R:1
W -0.976 -0.579 -2.037 1.62
S -1.994 1.401 -1.074 -0.04

# Response
Properties=species:S:1:pos:R:3:mulliken_charge:R:1
Ir -0.140 0.244 0.045 0.34
Te -2.453 1.428 -0.116 -0.01
S -4.628 -1.010 -0.805 -0.13
O 2.307 0.613 -0.852 -0.42
N 0.139 0.359 -2.088 0.48
N 1.831 -0.275 3.086 -0.77
N 5.399 -1.200 2.173 -0.63
N 4.513 0.148 -0.929 -0.47
N -0.016 -1.951 -2.184 -0.25
N -0.937 -0.905 1.621 0.34
C -3.209 -0.150 -2.725 -0.28
C 2.186 0.215 1.850 0.04
C 1.265 0.897 4.049 -0.67
C 0.452 0.385 2.932 0.74
C 0.677 -0.731 -4.138 -0.99
C -2.938 -1.952 2.381 -0.85
C 1.082 2.438 1.660 -1.17
C -4.045 -1.161 -3.274 -0.61
C 0.924 0.482 -4.726 -0.38
C 0.280 -0.773 -2.792 0.85
C 0.384 1.544 -2.680 -0.27
C -1.625 -0.664 3.903 -0.79
C -2.010 -1.669 1.400 -0.15
C 1.708 2.254 4.017 -1.09
C 0.775 1.657 -3.988 -0.96
C 3.338 -0.039 1.152 0.23
C -2.752 -1.428 3.651 -0.48
C 3.347 0.276 -0.255 0.85
C 0.889 0.983 1.612 1.50
C 4.455 -0.696 1.744 -0.46
C -0.736 -0.430 2.871 -0.25
C 1.540 2.988 2.850 -0.18
C -4.871 -1.715 -2.343 -0.45
C -3.395 0.039 -1.383 -0.01
H -3.477 -1.607 4.434 0.45
H 1.093 0.465 5.026 0.55
H -2.497 0.422 -3.307 0.49
H -2.123 -2.064 0.399 0.60
H 1.239 0.522 -5.761 0.44
H -5.621 -2.478 -2.480 0.42
H 5.376 -0.010 -0.436 0.19
H -3.786 -2.577 2.145 0.43
H 0.249 -2.813 -2.623 0.24
H 1.778 4.046 2.871 0.41
H 2.094 2.699 4.921 0.38
H -4.038 -1.456 -4.314 0.39
H -0.127 -1.941 -1.179 0.01
H 0.977 3.031 0.760 0.36
H 0.967 2.628 -4.418 0.48
H 0.256 2.413 -2.051 0.37
H 0.792 -1.656 -4.687 0.41
H 4.535 0.417 -1.896 0.25
H -1.425 -0.241 4.877 0.49
```

Results
Kohn-Sham gap (alpha / beta) = 4.85 / 4.85 eV
Energy above the lowest of the compared OMol25 structures with the same formula, charge and spin = 591.1 kJ/mol
E = -57147.43907 eV

# 2
Computed, not measured: a molecular structure, C24H19N2O7S8Ti, with ωB97M-V/def2-TZVPD.

```
61
Properties=species:S:1:pos:R:3:mulliken_spin:R:1
Ti 0.291 -0.181 -0.125 0.95
S -0.596 -3.895 -1.862 0.00
S -0.235 2.209 4.568 0.00
S 1.553 3.815 2.945 0.00
S -0.126 -0.164 2.696 0.01
S 0.971 -3.358 2.973 0.00
S 0.812 -0.385 -2.764 0.01
S 1.947 1.688 0.846 0.00
S 2.897 -4.368 -1.846 0.00
O 1.453 -1.558 -3.320 0.00
O -0.448 -0.778 -1.972 0.00
O 1.615 0.183 -1.584 -0.01
O 0.488 4.671 5.206 0.00
O -1.099 1.332 -0.164 0.01
O 0.497 0.648 -3.731 0.00
O 0.776 -1.927 0.355 0.00
N -3.323 1.264 -0.593 0.00
N -2.422 -1.240 0.248 0.01
C -2.253 1.525 0.225 0.00
C 0.210 -4.146 -0.367 0.01
C 3.391 -2.111 -0.775 0.00
C 2.838 -5.084 3.073 0.00
C -3.164 -1.184 -0.853 0.00
C -3.200 0.167 -1.559 0.00